How Great Chefs Keep Their Coats So White
The chef's white jacket or coat is almost as strong an icon as the chef's hat in the kitchen. But keeping that coat looking white and stain free can be a challenge. Whether the coat is one hundred percent cotton or a polyester/cotton blend, it is easy to keep it looking great.
How To Remove Stains and Wash A Chef Jacket
Kitchens can be messy and spills and stain happen. The key to keeping a jacket white is to treat the stains as soon as possible.
## Quantum chemistry results, kept here for reference
____________
Entry from OMol25: 2 unconnected molecules or ions with the total composition C5H13BClN2O4S (ωB97M-V/def2-TZVPD).

XYZ file:
```
27
Properties=species:S:1:pos:R:3
N -0.065 -2.071 0.940
C -0.725 -2.958 0.779
O -1.355 -4.146 0.578
S -0.176 -5.297 0.238
Cl 1.150 -5.358 1.757
B 0.670 -4.587 -1.326
N 1.660 -3.552 -1.330
O 0.281 -5.186 -2.509
H 1.307 -2.658 -1.676
H 2.126 -3.443 -0.429
H -0.260 -4.534 -2.998
C 0.606 3.847 1.727
O -0.763 3.536 1.517
C -1.195 3.824 0.194
C -1.265 2.567 -0.654
O 0.029 2.013 -0.873
C 0.297 0.908 -0.033
H 0.920 3.380 2.660
H 1.238 3.471 0.919
H 0.733 4.930 1.817
H -0.550 4.574 -0.273
H -2.201 4.249 0.271
H -1.672 2.827 -1.636
H -1.932 1.828 -0.198
H -0.252 0.030 -0.388
H 0.028 1.111 1.007
H 1.366 0.696 -0.081
```

Values from the calculation:
- Orbital gap: 4.5 eV
- E_tot: -40589.95354 eV
- Molar mass: 243.50 g/mol
- Relative energy (zero: lowest compared OMol25 entry of this formula, charge and spin): 90.9 kJ/mol
- Net charge: +1

Entry from OMol25: a gas-phase ion, C5H13BN (charge +1) (ωB97M-V/def2-TZVPD).

XYZ file:
```
20
Properties=species:S:1:pos:R:3
B 1.397 -0.093 0.167
C 1.266 1.433 0.271
C -0.022 -0.892 -0.025
C -1.156 1.318 -0.238
C 2.829 -0.693 -0.097
C -2.516 -0.615 -0.003
N -1.207 -0.029 0.368
H 0.990 2.096 1.088
H 1.704 1.851 -0.691
H 0.055 -1.378 -1.075
H -0.151 -1.726 0.545
H -1.517 2.104 0.532
H -1.358 1.239 -1.316
H 2.870 -1.746 0.006
H 3.596 -0.171 0.514
H 2.945 -0.605 -1.086
H -3.234 -0.064 0.455
H -2.804 -0.641 -0.978
H -2.716 -1.561 0.271
H -0.969 0.175 1.290
```

Values from the calculation:
- Orbital gap (alpha / beta): 8.9 / 8.6 eV
- E_tot: -7551.05226 eV
- Molar mass: 97.98 g/mol
- Relative energy (zero: lowest compared OMol25 entry of this formula, charge and spin): 371.8 kJ/mol
- Net charge: +1

Entry from OMol25: 2 unconnected molecules or ions with the total composition C5H13BN2 (ωB97M-V/def2-TZVPD).

XYZ file:
```
21
Properties=species:S:1:pos:R:3
B -0.643 -1.317 -0.434
C -1.769 1.060 0.484
C -2.867 0.103 0.227
C 1.392 0.182 1.286
C 1.511 0.724 -1.279
C 1.674 -0.219 -0.142
N -1.469 -0.302 0.068
N 0.752 -1.330 -0.501
H -1.409 -2.660 -0.978
H -1.556 1.939 -0.136
H -1.442 1.258 1.483
H -3.297 -0.443 1.045
H -3.361 0.138 -0.655
H 2.380 -0.029 1.615
H 1.213 1.242 1.263
H 0.648 -0.428 1.821
H 1.749 1.750 -0.891
H 0.456 0.741 -1.467
H 2.038 0.461 -2.159
H 2.709 -0.694 -0.267
H 1.291 -2.174 -0.383
```

Values from the calculation:
- Orbital gap: 9.6 eV
- E_tot: -9050.47855 eV
- Molar mass: 111.98 g/mol
- Relative energy (zero: lowest compared OMol25 entry of this formula, charge and spin): 140.9 kJ/mol
- Net charge: 0

Entry from OMol25: 2 unconnected molecules or ions with the total composition C5H13BrN (ωB97M-V/def2-TZVPD).

XYZ file:
```
20
Properties=species:S:1:pos:R:3
C 2.432 -1.829 -1.350
C -2.154 1.092 -0.407
C -0.692 1.450 1.559
C -0.941 -0.723 0.445
C 2.083 -1.016 -0.131
N -0.974 0.686 0.341
Br 2.161 0.797 -0.377
H 3.108 -1.212 -2.073
H 1.535 -2.141 -1.793
H 3.129 -2.664 -1.051
____________
Regular washing will help to remove those stains as well as body oil and soil and the cooking odors that can permeate fabric.
== Misplaced molecular data ==
-- begin --
{"formula": "C17H11NO3", "method": "wB97M-V/def2-TZVPD", "spin_multiplicity": 1, "smiles": "Cc1coc2nc3oc(=O)cc(-c4ccccc4)c3cc12", "total_energy_ha": -934.840656, "homo_ev": -8.82, "de_lowest_kcal_mol": 29.2, "species": ["C", "C", "C", "O", "C", "N", "C", "O", "C", "O", "C", "C", "C", "C", "C", "C", "C", "C", "C", "C", "C", "H", "H", "H", "H", "H", "H", "H", "H", "H", "H", "H"], "positions_angstrom": [[-2.0835, -3.1290, -1.6494], [-2.5252, -1.6651, -1.8841], [-3.5928, -1.2724, -2.5913], [-3.9156, 0.0305, -2.3691], [-2.9193, 0.5248, -1.5869], [-2.7553, 1.7601, -1.1781], [-1.6676, 2.0084, -0.5174], [-1.5003, 3.3445, -0.0874], [-0.2953, 3.6903, 0.4037], [0.0403, 4.8655, 0.5978], [0.7389, 2.7074, 0.6208], [0.5180, 1.4055, 0.5780], [1.6427, 0.4893, 1.1032], [1.4842, -0.5875, 2.0117], [2.5842, -1.3311, 2.5238], [3.8913, -1.0120, 2.0384], [4.0763, 0.0990, 1.2345], [2.9348, 0.8166, 0.8802], [-0.7235, 0.9889, -0.1745], [-0.9830, -0.2940, -0.5527], [-2.1347, -0.5397, -1.2177], [-2.7430, -3.9105, -2.1503], [-1.0243, -3.2774, -2.0097], [-2.0200, -3.1687, -0.5591], [-4.3459, -1.9802, -2.9689], [1.7090, 3.1267, 0.8992], [0.5224, -0.8098, 2.3752], [2.4159, -2.2410, 2.9628], [4.7268, -1.6356, 2.4219], [5.0714, 0.2661, 0.7573], [3.0767, 1.6824, 0.2218], [-0.2034, -0.9518, -0.1336]], "forces_ev_per_a": [[0.7, 1.0, -0.9], [-1.4, -3.8, -1.3], [-1.2, -1.7, 0.4], [-0.3, 1.3, -0.5], [-0.5, -0.5, 0.5], [-0.8, 0.9, -0.8], [0.7, 0.0, 0.9], [-0.4, -1.4, -0.5], [2.2, 3.0, -0.4], [-1.9, -1.8, -0.3], [0.5, 0.2, 0.6], [0.2, -1.7, -0.6], [-1.6, -0.8, 1.4], [1.2, -0.1, 0.0], [0.4, 3.1, -3.5], [-0.6, -0.7, 1.5], [0.2, -0.8, -0.1], [2.0, 1.7, -2.5], [0.7, 1.9, 1.5], [2.2, 0.4, 2.3], [2.1, 0.4, 0.1], [0.7, 1.2, 0.9], [-1.1, 0.1, 0.2], [-0.3, -0.8, -0.1], [0.3, 1.1, -0.4], [-0.6, -0.1, 0.3], [-1.2, -0.5, 0.2], [-0.4, -1.8, 1.7], [-0.5, 0.5, -0.7], [-1.0, 0.3, 0.7], [0.2, -0.3, 0.1], [-0.8, -0.5, -0.9]]}
-- stop --
It is also important to have several clean coats handy and rotate their wearing. This will help ease last minute panic and keep a supply of clean coats ready.
Always wash the white items separately from colors and use a heavy duty detergent (Persil, Wisk and Tide are top rated detergents) and the hottest water recommended on the care label. You should always use warm or hot water. Pretreat any stains with an enzyme based stain remover or a bit of the liquid detergent worked directly into heavily soiled areas. Allow the stain remover to work on the fabric for at least 15 minutes before washing.
== Attached: data records ==
____________
1.
Density functional theory data (the ωB97M-V functional and the def2-TZVPD basis) for C40H39BN11O3RuS as an isolated structure.

```
96
Properties=species:S:1:pos:R:3
Ru -0.52 0.54 0.05
C 0.02 -3.40 -0.61
C -0.07 -2.43 -1.74
C 0.03 -2.77 -3.09
C -0.25 -1.61 -3.77
N -0.49 -0.64 -2.87
N -0.36 -1.13 -1.60
B -1.05 0.77 -3.12
N -2.31 0.97 -2.22
C -3.49 1.47 -2.59
C -4.39 1.25 -1.57
C -3.67 0.57 -0.59
C -4.19 -0.03 0.67
N -2.39 0.42 -0.99
N 0.03 1.78 -2.71
C 0.86 2.50 -3.47
C 1.68 3.21 -2.63
C 1.29 2.85 -1.34
C 1.88 3.43 -0.10
N 0.29 1.96 -1.40
N -1.48 1.02 -4.56
C -1.69 2.23 -5.14
C -2.43 2.04 -6.28
C -2.65 0.65 -6.33
C -3.42 -0.13 -7.34
N -2.10 0.05 -5.29
H -0.30 -4.38 -0.97
H 1.03 -3.50 -0.23
H -0.63 -3.12 0.21
H 0.25 -3.74 -3.50
H -0.33 -1.42 -4.82
H -3.64 1.92 -3.56
H -5.44 1.49 -1.55
H -5.00 -0.73 0.43
H -3.42 -0.58 1.19
H -4.60 0.73 1.33
H 0.84 2.43 -4.54
H 2.46 3.90 -2.90
H 2.79 3.97 -0.36
H 1.19 4.15 0.35
H 2.12 2.66 0.62
H -1.33 3.14 -4.69
H -2.75 2.79 -6.98
H -3.39 0.35 -8.31
H -3.03 -1.14 -7.42
H -4.47 -0.21 -7.04
C 0.83 -3.79 3.60
C 1.31 -3.23 2.43
C 0.68 -2.13 1.86
C -0.44 -1.60 2.47
C -0.94 -2.16 3.65
C -0.30 -3.25 4.21
N -1.01 -0.41 1.90
N -1.66 0.26 2.74
C -2.01 1.53 2.29
C -2.78 2.35 3.12
C -3.13 3.61 2.67
C -2.71 4.02 1.39
C -1.93 3.21 0.59
C -1.53 1.94 1.04
H 1.34 -4.63 4.05
H 2.18 -3.65 1.94
H 1.07 -1.66 0.97
H -1.83 -1.74 4.10
H -0.69 -3.68 5.12
H -3.08 1.99 4.09
H -3.73 4.26 3.28
H -3.01 5.00 1.03
H -1.62 3.55 -0.39
O 5.42 -5.97 1.94
C 5.65 -4.71 2.39
O 6.30 -4.55 3.39
C 5.05 -3.59 1.61
C 5.02 -2.33 2.21
C 4.43 -1.26 1.56
C 3.86 -1.40 0.28
S 3.12 -0.05 -0.50
C 3.94 -2.66 -0.33
C 4.51 -3.74 0.32
H 4.85 -5.95 1.17
H 5.46 -2.22 3.19
H 4.41 -0.29 2.03
H 3.54 -2.78 -1.33
H 4.56 -4.68 -0.21
O 1.19 1.00 1.46
N 1.11 1.43 2.70
C 1.58 0.62 3.67
C 1.58 1.03 4.98
C 1.10 2.29 5.31
C 0.63 3.10 4.29
C 0.65 2.66 2.99
H 1.95 -0.33 3.33
H 1.97 0.36 5.74
H 1.09 2.63 6.34
H 0.24 4.09 4.49
H 0.29 3.22 2.15
```

The gap between HOMO and LUMO (alpha / beta) comes out at 6.5 / 3.8 eV. The highest occupied orbital energy (alpha / beta) comes out at -7.408 / -6.072 eV. As for the multiplicity: 2.

***

2.
Density functional theory data (the ωB97M-V functional and the def2-TZVPD basis) for C40H39BrDyN10O3S as an isolated structure.

```
95
Properties=species:S:1:pos:R:3
Dy -0.01 0.92 -1.18
C 0.04 4.17 -4.60
C 0.49 3.33 -3.42
N -0.32 3.18 -2.35
N -1.24 4.25 -2.26
C -2.13 4.41 -1.35
N -2.86 5.52 -1.03
S -2.88 2.86 -0.49
C 1.71 2.67 -3.47
C 2.68 3.22 -4.35
C 3.89 2.52 -4.54
C 4.07 1.33 -3.84
C 3.11 0.86 -2.92
N 1.98 1.58 -2.70
H 0.48 5.13 -4.50
H -1.08 4.24 -4.70
H 0.45 3.76 -5.55
H -2.53 6.47 -1.17
H -3.61 5.32 -0.34
H 2.43 4.22 -4.77
H 4.65 3.00 -5.19
H 5.04 0.80 -3.83
H 3.23 0.06 -2.25
N 1.58 -0.50 2.95
C 2.59 -1.07 2.17
C 2.87 -2.44 2.30
C 4.01 -3.01 1.75
C 4.88 -2.26 1.00
C 4.64 -0.85 0.82
C 3.49 -0.22 1.40
C 3.28 1.20 1.18
C 4.35 2.11 1.16
C 4.08 3.50 1.06
C 2.81 4.01 0.98
C 1.76 3.02 0.92
C 1.97 1.69 1.03
H 0.71 -1.05 3.04
H 1.34 0.41 2.48
____________
Check the coats for stains before drying. If stains remain, do not toss in the dryer! The high heat of the dryer will set the stains and make them much more difficult to remove. They will need to be treated again with stain remover and rewashed.
Since washing chef coats may not happen immediately after every wearing, presoaking will make stain remover easier.
Fill a large sink or non-metal bucket with a mixture of warm water and oxygen-based bleach. Follow product directions as to how much to use per gallon of water. Completely submerge the white coats and allow to soak until its time to wash.
How To Bring Back the White
It is better to not use chlorine bleach to remove stains or whiten the fabric. Chlorine bleach can damage fibers and actually cause coats to yellow and become more dingy.
To restore the whiteness, fill a washer or wash sink with warm water. Add 1 cup of oxygen-based bleach (OxiClean, Tide Oxi or Nellie's Natural Oxygen Brightener are brand names) and submerge the coats. Allow them to soak for 24 hours. Then wash as usual with a heavy duty detergent in warm or hot water. During the rinse cycle, add one cup of white distilled vinegar to help rinse away any detergent residue that clings to the fabric and causes it to look dingy. If you have hard water in your area, the white vinegar is a must in the rinse cycle to help remove the detergent and soil that redeposits on whites.
Another tip to help brighten whites is to use laundry bluing. The addition of this product restores whiteness by increasing the light reflection from the fibers.
If the coats are older and need a dramatic whitening boost, purchase Rit Color Remover and follow the directions on the package to help remove dinginess and greying.
These same tips will work to whiten aprons and kitchen towels.